## Contents
********
# 1
C26H17NO6PRu | the ωB97M-V functional and the def2-TZVPD basis

Cartesian coordinates (Å):
Ru 0.6865 -2.0362 -0.6727
O 0.7525 -1.9028 5.5552
C 0.8369 -2.1109 4.2345
C 1.9957 -1.8354 3.5022
C 1.9563 -1.9714 2.1270
N 0.8678 -2.3861 1.4924
C -0.2162 -2.7288 2.1824
C -0.2849 -2.6030 3.5540
C -1.3589 -3.3027 1.2960
O -2.3681 -3.6973 1.8415
O -1.0865 -3.3013 0.0619
C 3.1562 -1.6569 1.1857
O 4.2263 -1.4110 1.7024
O 2.8530 -1.6926 -0.0364
H 1.5853 -1.5579 5.9047
H 2.9087 -1.5068 3.9786
H -1.1864 -2.8667 4.0822
O 1.2733 -2.7557 -2.7831
C 0.5564 -1.7789 -2.7459
C -0.1404 -0.7879 -3.3789
C -0.3303 -0.7510 -4.7955
C -1.1444 0.1950 -5.3475
C -1.8016 1.1536 -4.5595
C -1.6299 1.1550 -3.1863
C -0.7987 0.2253 -2.5841
P -0.5613 0.0065 -0.8176
C -1.7705 1.1089 -0.0312
C -1.4517 2.4553 0.1279
C -2.4004 3.3272 0.6249
C -3.6618 2.8626 0.9599
C -3.9750 1.5212 0.8103
C -3.0315 0.6373 0.3158
C 1.0260 0.7984 -0.3493
C 1.9643 1.2209 -1.2880
C 3.1427 1.8071 -0.8579
C 3.3966 1.9557 0.4969
C 2.4829 1.4986 1.4352
C 1.3019 0.9181 1.0181
H 0.1591 -1.5014 -5.3957
H -1.2973 0.2072 -6.4156
H -2.4498 1.8798 -5.0208
H -2.1425 1.8791 -2.5706
H -0.4684 2.8090 -0.1461
H -2.1532 4.3703 0.7487
H -4.3986 3.5495 1.3462
H -4.9562 1.1647 1.0820
H -3.2634 -0.4115 0.1914
H 1.7518 1.1144 -2.3445
H 3.8649 2.1489 -1.5828
H 4.3114 2.4235 0.8236
H 2.7034 1.5881 2.4884
H 0.5677 0.5712 1.7383

Forces on the atoms, in the same order (eV/Å):
Ru -0.515 -0.937 1.355
O -0.030 -0.045 0.450
C 0.082 0.018 -0.889
C -0.195 -0.065 -0.062
C 0.733 0.131 -0.227
N -0.129 0.383 -0.600
C -0.658 -0.378 -0.230
C 0.230 0.102 0.126
C 0.665 0.640 1.260
O -0.379 -0.162 0.129
O 0.723 0.603 -2.216
C -0.815 -0.072 1.576
O 0.451 0.109 0.059
O -0.869 0.002 -2.158
H -0.099 -0.088 -0.144
H 0.115 0.047 -0.054
H -0.124 -0.066 -0.014
O -0.509 0.433 -1.013
C 1.613 -2.213 5.394
C -2.526 3.216 -3.070
C 0.623 -0.424 1.615
C -0.666 0.919 -0.279
C 0.486 -0.679 -0.235
C 0.225 0.046 0.194
C 0.578 -1.398 -1.134
P 1.752 -0.474 0.835
C -0.050 -0.406 -0.120
C 0.012 -0.081 -0.089
C 0.008 0.101 0.000
C -0.018 -0.041 0.043
C -0.126 0.007 0.051
C 0.117 -0.029 -0.068
C -0.105 0.474 -0.246
C -0.390 0.036 0.208
C 0.097 -0.019 0.101
C 0.000 -0.014 -0.145
C 0.011 -0.007 -0.045
C -0.324 0.101 -0.286
H 0.034 -0.068 -0.143
H -0.028 -0.020 -0.114
H -0.090 0.087 -0.098
H -0.057 0.072 0.043
H 0.047 0.074 0.032
H 0.008 0.112 0.015
H -0.099 0.055 0.049
H -0.096 -0.061 0.029
H -0.068 -0.097 0.042
H 0.087 0.033 -0.038
H 0.090 0.030 -0.071
H 0.133 -0.001 0.034
H -0.015 -0.010 0.085
H 0.061 0.021 0.063

As for the lowest unoccupied orbital energy (alpha / beta): -0.0616 / -0.0637 hartree. Its spin multiplicity is 2. Its expectation value of S² is 0.764. Its energy relative to the best compared isomer or geometry (same formula, charge and spin) is 75.8 kJ/mol.

Atom charges from the Mulliken analysis, given in e for atoms 1 to 8: -0.41 -0.54 1.07 -0.20 -0.04 -0.30 -0.11 -0.51

# 2
C5H15NSi | the ωB97M-V functional and the def2-TZVPD basis

Cartesian coordinates (Å):
C -1.5380 -1.6923 -0.1307
C -2.6367 0.5930 -0.8087
C -0.2309 -0.3934 -1.5746
C 3.9767 0.5775 0.7167
C -1.3483 -0.2396 -0.5183
N -0.7754 0.4183 0.6591
Si 3.0441 1.0130 2.1410
H -1.8373 -1.5975 0.8584
H -2.3457 -2.1049 -0.7197
H -0.7654 -2.4392 -0.1656
H -3.3116 0.3005 -0.0529
H -3.2038 0.3028 -1.7360
H -2.4556 1.6155 -0.7613
H -0.0281 0.4697 -2.1991
H 0.6566 -0.5055 -0.9250
H -0.3851 -1.2134 -2.2736
H 5.0015 1.0027 0.7104
H -0.7971 1.4583 0.6895
H 3.7377 0.2046 -0.1584
H 0.1918 0.0899 0.5716
H 3.3490 1.6994 3.4156
H 1.7015 0.4407 2.2615

Forces on the atoms, in the same order (eV/Å):
C -1.946 0.055 -0.485
C 0.019 -3.499 -1.710
C 0.101 1.233 -0.268
C 1.800 3.448 5.959
C 0.858 0.706 -1.069
N 0.943 0.331 0.387
Si 0.139 -1.067 -1.618
H -0.939 -0.546 2.043
H -0.410 -0.247 -0.151
H 1.012 0.400 -0.290
H -0.871 0.019 1.251
H 0.941 0.394 0.486
H 0.377 1.780 -0.115
H -0.089 0.534 -0.015
H -0.011 -0.596 -0.981
H 0.075 -0.246 0.264
H -0.561 -0.318 0.019
H 0.126 -1.189 -0.518
********

## Assignment
Print everything further up exactly.

## Worked solution
# 1
C26H17NO6PRu | the ωB97M-V functional and the def2-TZVPD basis

Cartesian coordinates (Å):
Ru 0.6865 -2.0362 -0.6727
O 0.7525 -1.9028 5.5552
C 0.8369 -2.1109 4.2345
C 1.9957 -1.8354 3.5022
C 1.9563 -1.9714 2.1270
N 0.8678 -2.3861 1.4924
C -0.2162 -2.7288 2.1824
C -0.2849 -2.6030 3.5540
C -1.3589 -3.3027 1.2960
O -2.3681 -3.6973 1.8415
O -1.0865 -3.3013 0.0619
C 3.1562 -1.6569 1.1857
O 4.2263 -1.4110 1.7024
O 2.8530 -1.6926 -0.0364
H 1.5853 -1.5579 5.9047
H 2.9087 -1.5068 3.9786
H -1.1864 -2.8667 4.0822
O 1.2733 -2.7557 -2.7831
C 0.5564 -1.7789 -2.7459
C -0.1404 -0.7879 -3.3789
C -0.3303 -0.7510 -4.7955
C -1.1444 0.1950 -5.3475
C -1.8016 1.1536 -4.5595
C -1.6299 1.1550 -3.1863
C -0.7987 0.2253 -2.5841
P -0.5613 0.0065 -0.8176
C -1.7705 1.1089 -0.0312
C -1.4517 2.4553 0.1279
C -2.4004 3.3272 0.6249
C -3.6618 2.8626 0.9599
C -3.9750 1.5212 0.8103
C -3.0315 0.6373 0.3158
C 1.0260 0.7984 -0.3493
C 1.9643 1.2209 -1.2880
C 3.1427 1.8071 -0.8579
C 3.3966 1.9557 0.4969
C 2.4829 1.4986 1.4352
C 1.3019 0.9181 1.0181
H 0.1591 -1.5014 -5.3957
H -1.2973 0.2072 -6.4156
H -2.4498 1.8798 -5.0208
H -2.1425 1.8791 -2.5706
H -0.4684 2.8090 -0.1461
H -2.1532 4.3703 0.7487
H -4.3986 3.5495 1.3462
H -4.9562 1.1647 1.0820
H -3.2634 -0.4115 0.1914
H 1.7518 1.1144 -2.3445
H 3.8649 2.1489 -1.5828
H 4.3114 2.4235 0.8236
H 2.7034 1.5881 2.4884
H 0.5677 0.5712 1.7383

Forces on the atoms, in the same order (eV/Å):
Ru -0.515 -0.937 1.355
O -0.030 -0.045 0.450
C 0.082 0.018 -0.889
C -0.195 -0.065 -0.062
C 0.733 0.131 -0.227
N -0.129 0.383 -0.600
C -0.658 -0.378 -0.230
C 0.230 0.102 0.126
C 0.665 0.640 1.260
O -0.379 -0.162 0.129
O 0.723 0.603 -2.216
C -0.815 -0.072 1.576
O 0.451 0.109 0.059
O -0.869 0.002 -2.158
H -0.099 -0.088 -0.144
H 0.115 0.047 -0.054
H -0.124 -0.066 -0.014
O -0.509 0.433 -1.013
C 1.613 -2.213 5.394
C -2.526 3.216 -3.070
C 0.623 -0.424 1.615
C -0.666 0.919 -0.279
C 0.486 -0.679 -0.235
C 0.225 0.046 0.194
C 0.578 -1.398 -1.134
P 1.752 -0.474 0.835
C -0.050 -0.406 -0.120
C 0.012 -0.081 -0.089
C 0.008 0.101 0.000
C -0.018 -0.041 0.043
C -0.126 0.007 0.051
C 0.117 -0.029 -0.068
C -0.105 0.474 -0.246
C -0.390 0.036 0.208
C 0.097 -0.019 0.101
C 0.000 -0.014 -0.145
C 0.011 -0.007 -0.045
C -0.324 0.101 -0.286
H 0.034 -0.068 -0.143
H -0.028 -0.020 -0.114
H -0.090 0.087 -0.098
H -0.057 0.072 0.043
H 0.047 0.074 0.032
H 0.008 0.112 0.015
H -0.099 0.055 0.049
H -0.096 -0.061 0.029
H -0.068 -0.097 0.042
H 0.087 0.033 -0.038
H 0.090 0.030 -0.071
H 0.133 -0.001 0.034
H -0.015 -0.010 0.085
H 0.061 0.021 0.063

As for the lowest unoccupied orbital energy (alpha / beta): -0.0616 / -0.0637 hartree. Its spin multiplicity is 2. Its expectation value of S² is 0.764. Its energy relative to the best compared isomer or geometry (same formula, charge and spin) is 75.8 kJ/mol.

Atom charges from the Mulliken analysis, given in e for atoms 1 to 8: -0.41 -0.54 1.07 -0.20 -0.04 -0.30 -0.11 -0.51

# 2
C5H15NSi | the ωB97M-V functional and the def2-TZVPD basis

Cartesian coordinates (Å):
C -1.5380 -1.6923 -0.1307
C -2.6367 0.5930 -0.8087
C -0.2309 -0.3934 -1.5746
C 3.9767 0.5775 0.7167
C -1.3483 -0.2396 -0.5183
N -0.7754 0.4183 0.6591
Si 3.0441 1.0130 2.1410
H -1.8373 -1.5975 0.8584
H -2.3457 -2.1049 -0.7197
H -0.7654 -2.4392 -0.1656
H -3.3116 0.3005 -0.0529
H -3.2038 0.3028 -1.7360
H -2.4556 1.6155 -0.7613
H -0.0281 0.4697 -2.1991
H 0.6566 -0.5055 -0.9250
H -0.3851 -1.2134 -2.2736
H 5.0015 1.0027 0.7104
H -0.7971 1.4583 0.6895
H 3.7377 0.2046 -0.1584
H 0.1918 0.0899 0.5716
H 3.3490 1.6994 3.4156
H 1.7015 0.4407 2.2615

Forces on the atoms, in the same order (eV/Å):
C -1.946 0.055 -0.485
C 0.019 -3.499 -1.710
C 0.101 1.233 -0.268
C 1.800 3.448 5.959
C 0.858 0.706 -1.069
N 0.943 0.331 0.387
Si 0.139 -1.067 -1.618
H -0.939 -0.546 2.043
H -0.410 -0.247 -0.151
H 1.012 0.400 -0.290
H -0.871 0.019 1.251
H 0.941 0.394 0.486
H 0.377 1.780 -0.115
H -0.089 0.534 -0.015
H -0.011 -0.596 -0.981
H 0.075 -0.246 0.264
H -0.561 -0.318 0.019
H 0.126 -1.189 -0.518